**Data**
........
Diffraction record for CsNiTe2O8. The powder diffraction line list is calculated, not measured: it uses a DFT-relaxed cell (PBE+U, Alexandria) and CuKα.
Intensities are scaled so that the largest is 100.

Top 10 peaks for 2θ = 5–70°, by angle:
two_theta	I (rel.)
9.38	17.6
21.71	100.0
27.26	94.1
28.41	18.4
34.17	50.1
40.85	19.1
43.26	26.4
44.25	24.2
54.29	16.7
57.07	23.4

Atomic structure:
Lattice parameters (Å, degrees): 5.2475 5.2475 9.4239 90.00 90.00 120.00
Space group P-3 (No. 147)
Symmetry-distinct sites (fractional):
Cs  0.0000  0.0000  0.0000 x1
Ni  0.0000  0.0000  0.5000 x1
Te  0.3333  0.6667  0.6801 x2
O  0.0109  0.3103  0.6237 x6
O  0.3333  0.6667  0.8735 x2
........
**Brief**
It remains to quote the whole of the entries earlier on exactly.
**Completed**
Diffraction record for CsNiTe2O8. The powder diffraction line list is calculated, not measured: it uses a DFT-relaxed cell (PBE+U, Alexandria) and CuKα.
Intensities are scaled so that the largest is 100.

Top 10 peaks for 2θ = 5–70°, by angle:
two_theta	I (rel.)
9.38	17.6
21.71	100.0
27.26	94.1
28.41	18.4
34.17	50.1
40.85	19.1
43.26	26.4
44.25	24.2
54.29	16.7
57.07	23.4

Atomic structure:
Lattice parameters (Å, degrees): 5.2475 5.2475 9.4239 90.00 90.00 120.00
Space group P-3 (No. 147)
Symmetry-distinct sites (fractional):
Cs  0.0000  0.0000  0.0000 x1
Ni  0.0000  0.0000  0.5000 x1
Te  0.3333  0.6667  0.6801 x2
O  0.0109  0.3103  0.6237 x6
O  0.3333  0.6667  0.8735 x2